Interchange Fees in a Nutshell: 5 Super Important Things You Need to Know About It

This post was originally contributed by David Goodale, CEO at
Over the past several years, business owners have become more aware of interchange fees, and how they impact their business. I’m a huge proponent of this because it has forced greater accountability in the payments industry, and empowered businesses to control costs and negotiate their processing fees more effectively.
Even though interchange is generally better understood, many business owners are still in the dark.
In fact, when doing keyword research one of the most searched phrases is “how to calculate interchange fees”, which indicates that many business owners are still confused, and are trying to better understand merchant industry pricing. One of the reasons that there is so little understanding boils down to the fact that interchange is a fairly complicated and confusing topic.

Complexity, or at least perceived complexity is often associated with operating an eCommerce business. It can seem overwhelming: everything from building your first e-commerce website, right through to establishing payments, dealing with PCI compliance issues, and negotiating your processing contract can be a challenge.
In this discussion, we won’t dig into every last facet and detail. Instead, we’ll concentrate on the important parts, covering the basics and getting you up to speed on the most important things about interchange, as quickly as possible.
Why Should You Care About Interchange?
Interchange has to do with the costs associated with processing credit cards. If you don’t understand it, you have no ability to control your costs, and can’t negotiate effective processing contracts with your credit card processor. It will ultimately lead to paying higher fees than you need to for your payment processing.
1. What is Interchange Fee?
Interchange is the cost that payment processors incur each time a credit card transaction is processed.
As a business owner you are fully aware that you pay fees to your payment processor (called a “discount rate”) each time you process a credit card transaction.
What you probably didn’t realize is that the discount rate fees you pay to your processor are not all kept by the processor. A significant portion of the fees are returned back to Visa and MasterCard, and are ultimately onto the card issuing bank (the bank that provided the credit card your customer used).
Interchange can be summarized as the costs incurred by payment processors, as set by Visa and MasterCard, and are applied to every credit card transaction that is processed.

2. Interchange Fee Is Set by Region
Interchange fees are set at a regional level. All payment processing companies within a region incur the same interchange fees.
Regions are usually broken into countries.
For example, if you operate a US-based business, you are required to work with a US-based credit card processor and will incur US interchange fees. If you operate a Canadian business you will need to establish credit card processing in Canada, and will incur Canadian interchange fees. Visa and Mastercard rules require businesses to only work with credit card companies in their local country. A UK based business could not work with a US based credit card processor, because the US processor would not have a license to allow them to process transactions on behalf of UK businesses.
The concept that we are trying to drive home is that your business will be required to work with a credit card processor that is is based in the same country that your business is registered in. For this reason, the location of your business will ultimately determine which interchange structure will apply to your transactions, and it will impact the costs that you pay. Once you understand the concept it is easier to dig into and work out the bottom line impact.
The initial perceived complexity comes from the fact that interchange is very situationally specific for your particular business.
You need to understand two things:
- Interchange structures vary depending on region
- Interchange fees for transactions processed by your business are determined by the region of domicile (country) of your acquiring bank (payment processor whose banking licenses are being used to clear Visa and Mastercard transactions).
Once you understand these things some of the fog begins to lift and you can begin to work out the actual fees, for each card type, for transactions processed by your company.
The regions are broken down as follows:
- US interchange;
- Canadian interchange;
- EU interchange (Europe is seen as one acquiring region, and each country within that region has small differences, but as a whole European interchange is fairly consistent);
- Asia/Pacific interchange;
- Australia/New Zealand;
- Other regions.
This is helpful to know because if you are, for example, an American merchant and a payment processor offers you a seemingly unbelievable rate (interchange in the USA is more expensive than in Europe), you are able to compare your quote to the interchange rates to determine whether you are getting a good value or not.
You can look at card types in that region and see if they have quoted any rates that are below interchange fees on particular card types (such as rewards cards or premium cards), which is a surefire identifier of a suspect qualified/non-qualified rate quote that is best left avoided.
This is especially important because merchants will often receive confusing sounding quotations that are not based on interchange plus pricing.

[The article is interrupted by calculated crystals]
- - -
Density functional theory data (PBE) for crystalline Na21In5O15 at its relaxed geometry.

Summary:
- Crystal system: monoclinic
- Space-group type: Cm (8)

Cell: 9.706 9.706 9.695 Å, 70.12 70.12 108.54°
Fractional positions:
Na (0.441, 0.441, 0.272)
Na (0.571, 0.776, 0.988)
Na (0.213, 0.213, 0.219)
Na (0.268, 0.546, 0.016)
Na (0.000, 0.302, 0.438)
Na (0.457, 0.754, 0.522)
Na (0.216, 0.433, 0.568)
Na (0.775, 0.981, 0.456)
Na (0.224, 0.785, 0.788)
Na (0.554, 0.007, 0.720)
Na (0.260, 0.719, 0.279)
Na (0.007, 0.554, 0.720)
Na (0.719, 0.260, 0.279)
Na (0.785, 0.224, 0.788)
Na (0.776, 0.571, 0.988)
Na (0.433, 0.216, 0.568)
Na (0.981, 0.775, 0.456)
Na (0.546, 0.268, 0.016)
Na (0.754, 0.457, 0.522)
Na (0.302, 0.000, 0.438)
Na (0.473, 0.473, 0.775)
In (0.992, 0.992, 0.698)
In (0.991, 0.991, 0.998)
In (0.008, 0.295, 0.993)
In (0.295, 0.008, 0.993)
In (0.697, 0.697, 0.284)
O (0.793, 0.025, 0.694)
O (0.477, 0.477, 0.020)
O (0.209, 0.209, 0.488)
O (0.330, 0.805, 0.988)
O (0.462, 0.668, 0.315)
O (0.493, 0.002, 0.521)
O (0.993, 0.264, 0.222)
O (0.224, 0.525, 0.786)
O (0.805, 0.330, 0.988)
O (0.002, 0.493, 0.521)
O (0.668, 0.462, 0.315)
O (0.025, 0.793, 0.694)
O (0.264, 0.993, 0.222)
O (0.525, 0.224, 0.786)
O (0.705, 0.705, 0.497)

Density functional theory data (PBE) for crystalline NaInP2O7 at its relaxed geometry.

Summary:
- Crystal system: monoclinic
- Space-group type: P2_1/c (14)

Cell: 8.357 7.590 9.951 Å, 68.02 90.00 90.00°
Fractional positions:
Na (0.526, 0.284, 0.715)
Na (0.974, 0.284, 0.215)
Na (0.026, 0.716, 0.785)
Na (0.474, 0.716, 0.285)
In (0.496, 0.746, 0.751)
In (0.996, 0.254, 0.749)
In (0.504, 0.254, 0.249)
In (0.004, 0.746, 0.251)
P (0.285, 0.327, 0.950)
P (0.753, 0.074, 0.041)
P (0.253, 0.926, 0.459)
P (0.247, 0.926, 0.959)
P (0.747, 0.074, 0.541)
P (0.715, 0.673, 0.050)
P (0.785, 0.673, 0.550)
P (0.215, 0.327, 0.450)
O (0.112, 0.374, 0.893)
O (0.591, 0.030, 0.630)
O (0.091, 0.970, 0.870)
O (0.409, 0.970, 0.370)
O (0.909, 0.030, 0.130)
O (0.834, 0.872, 0.568)
O (0.334, 0.128, 0.932)
O (0.166, 0.128, 0.432)
O (0.632, 0.181, 0.093)
O (0.132, 0.819, 0.407)
O (0.368, 0.819, 0.907)
O (0.868, 0.181, 0.593)
O (0.779, 0.173, 0.877)
O (0.279, 0.827, 0.623)
O (0.221, 0.827, 0.123)
O (0.721, 0.173, 0.377)
O (0.792, 0.697, 0.391)
O (0.292, 0.303, 0.109)
O (0.208, 0.303, 0.609)
O (0.410, 0.459, 0.851)
O (0.888, 0.626, 0.107)
O (0.388, 0.374, 0.393)
O (0.708, 0.697, 0.891)
O (0.612, 0.626, 0.607)
O (0.090, 0.459, 0.351)
O (0.590, 0.541, 0.149)
O (0.910, 0.541, 0.649)
O (0.666, 0.872, 0.068)

Density functional theory data (PBE) for crystalline Na3In2P3O12 at its relaxed geometry.

Summary:
- Energy relative to the lowest polymorph listed for this composition: 0.46 eV per formula unit
- Crystal system: monoclinic
- Space-group type: Cc (9)

Cell: 9.107 9.107 22.796 Å, 89.91 90.09 119.98°
Fractional positions:
Na (0.000, 0.000, 0.500)
Na (0.000, 0.000, 0.000)
Na (0.643, 0.321, 0.833)
Na (0.679, 0.357, 0.333)
Na (0.334, 0.667, 0.167)
- - -

Some payment processors having pricing models that are, in some cases, quite misleading.
As a business owner, you need to clearly understand that not all merchants receive interchange plus pricing and that other pricing models, especially qualified/non-qualified pricing, can cause many problems for small business owners.
Achieving an understanding of interchange fees for the region that your business is domiciled in will have you well equipped to spot which quotations may provide the best potential value, and dismiss the ones that otherwise “sound” good, but in the end would actually cost your business a lot more money.
Interchange Fees Depend on How a Credit Card Is Used
The way that a credit card is used will impact the interchange fee. In the industry this is sometimes referred to as the “presentment type”.
For example, retail (in-person transactions) have a lower interchange rate associated with when compared to e-commerce or card not present transactions. In Canada, at the time this article was written, e-commerce transactions have an interchange rate that is 0.11% higher than a retail/brick and mortar transaction.
Sometimes there are special situations where the presentment type can actually cause interchange to be lowered.
For example, recurring billing offers a lower interchange rate than regular eCommerce transactions.
This is probably because the risk associated with a recurring transaction is generally lower than for a new 1-off transaction.
There are other special interchange tiers available that offer rate savings to certain businesses, such as:
- supermarket interchange
- gas station interchange
- non-profit interchange
- emerging markets interchange where Visa or Mastercard want to encourage greater adoption of card payments.
3. Different Card Types Have Different Interchange Rates
Within each region, different card types have different interchange fees. In general, basic credit or debit cards have the lowest interchange rates.
Rewards cards, such as cashback, air miles and points type cards (the cards that provide the cardholder with special benefits) have higher interchange rates.
Ultra-premium rewards cards and corporate cards most often have the highest interchange rates associated with them.
You can search on Google to find the local Visa or Mastercard website in your region. From there, depending on your region, you should be able to find the official interchange rate for your country.
For example, you can find information about Canadian interchange from Visa Canada.

The same information about Canadian interchange fees can be found on Mastercard Canada website, as well.

If you want a general point of reference in terms of costs, in North America interchange generally ranges from about 1.5% to 2.5%, but it depends strongly on type of card being used, and how it is being used.
In Europe interchange is much lower and is generally capped at 0.30% for any cards issued within the EU, even most rewards cards (but not corporate cards).
4. Cross Border Fees Are an Additional Cost to Be Aware Of
It’s beyond the intended scope of this article to speak too much about cross border fees.
You can find more information in this blog post or at a YouTube video about cross border fees.

Source: Youtube
What you need to know, at a high level, is that there are significant processing costs that are incurred when a transaction crosses a border.
For example, if a Canadian based merchant sells to a UK based cardholder, a cross border fee will be applied to that transaction. For a quick point of reference, the cross border fee for that a Visa transaction would be 0.80%, or 0.40%, depending on the transaction currency. Mastercard has recently increased the cross border fee to 1% in November of 2018. The takeaway point from this is that cross border fees can be a significant cost to your business.
Interchange Optimization Can Lower Cross Border Fees
It is possible to reduce or eliminate your cross border fees by optimizing your payments infrastructure to utilize local (domestic) processing in each region in which you have a significant amount of customers.
Cross border eCommerce is a specialized area of the payments industry, which focuses on interchange optimization for global businesses.
It’s something that many businesses don’t consider — but can save a lot of money. Some credit card networks provide interchange optimization, which is the process of helping your business to eliminate cross border fees and qualify for the lowest interchange rates in countries where you attract a lot of customers.
This requires establishing local merchant accounts in each region, which will require you to maintain a business presence in each of those regions.

Doing so will provide your business with the lowest possible interchange rate for each transaction that your business processes. However, because it can only be done if your business has, or is willing to maintain a business presence in different countries, it would usually only make sense to do this where you have at least $100,000 per month in sales. (Which is only intended as a point of reference figure and needs to be looked at individually by every business).
For example, if your business had a lot of sales in the UK, but you operated a US-based business, it might make sense to set up a local company and to work towards making sure your sales in the UK qualify for domestic UK interchange.
While acknowledging that this is a fairly complicated project that only make senses for mid-sized or large businesses, the cost savings can be significant, and the more volume that your businesses process the more it is worth exploring.
After adding in FX costs on settlement of transactions, the rate savings can easily top 1%. If you are processing high transaction volumes it can quickly become worth investigating.
There will likely also be tax and compliance rules to work through, so it is best to speak to a company that has expertise in international and cross-border e-commerce payments.
5. Interchange Fees Are Adjusted from Time to Time by Visa and Mastercard
Interchange is adjusted periodically, often in April and October of of each year.
In Canada, merchants must be advised of these changes before they go into place, and if there is an interchange cost decrease the savings must be passed onto merchants or the merchant can cancel their processing agreement without penalty. (Courtesy of the Canadian code of conduct for credit card processing).
The obligation for payment processors to pass through savings (where interchange has been decreased) does not exist outside of Canada, however, if you stay aware of interchange adjustments, and if you are aware that interchange rates have decreased, it gives you a very strong negotiating position when renegotiating your rates with your payment processor.
On the flip side, if interchange rates increase your payment processor may choose to either absorb the increase, or pass it through.
If you are paying low rates to your payment processor it may actually be impossible for the payment processor to absorb a cost increase without being in a loss-taking position (depending on your rate and pricing model).
As we’ve explored in this discussion, one of the reasons that interchange is little understood is because there are several aspects to it, all of which must be factored in and considered to understand the fee applied to any particular transaction.
There are a lot of different types of Visa and Mastercard cards in circulation, and each has its own issuer, card type, and even beyond that there are the presentation types:
- Online e-commerce & over the phone (virtual terminal)
- In-person
- recurring billing, etc.
As opposed to trying to learn everything about interchange, which isn’t necessary for the typical business owner, it’s best to hone in on the interchange fees that will specifically impact your business.
You should know the two most popular interchange tiers:
- standard interchange is for e-commerce and virtual terminal merchants
- electronic interchange is for POS/retail merchants
You should seek out the interchange guidelines for businesses in your country, directly from the regional Visa or Mastercard website for your particular country.
That will give you a handle on the actual costs that your merchant services provider will incur each time a transaction is processed. You will have a good and confident general understanding of the fee that your credit card processor will incur when processing transactions, and can look at your rate and determine if you are being charged a fair and reasonable service fee.
Anything you pay to your processor over interchange should generally be considered as margin or fees being earned by your processor. It’s certainly fair for them to earn a reasonable fee for providing a reliable processing service, and it should be consistent, reasonably easy to understand, and ultimately not an eye-watering markup that is unfair to your business!
This has been a crash course on interchange, and hopefully it will give you some confidence the next time that you are negotiating the payment processing rates for your business. The good news is that broken down into its component pieces, it’s actually very manageable. Especially when compared to the challenges like entering into an emerging e-commerce market like China!

Alex is Payments Sr. Product Manager at X-Cart, a Seller Labs company. His other two passions are ice hockey and history.